With the release of the plain-English version of the Wisconsin state budget by the Legislative Fiscal Bureau, we've been getting new information on the depths of this new Walker budget. And if you dig inside to the University of Wisconsin System's part of the budget,in addition to the $300 million in cuts to System funding and the spinning off of the System into an independent authority, there is an obvious theme, which is this- the UW System's mission of outreach to the rest of the state is being taken out.
What grabbed a lot of the media's attention over the last two days is the passage in the LFB's analysis that mention the removal of a requirement to report sexual assault statistics on campus to the Wisconsin Department of Justice (page 50 on the PDF). Now, the Walker Administration and some newspapers have tried to walk back the story, as a UW System spokesman claims the System was the organization that asked for the provision, claiming it to be redundant since the feds already require such reporting.
But our media shouldn't let the Walker folks off the hook on this issue, and not just because the UW spokesman claiming the removal was the System's idea was a guy appointed by Walker last month, and wasn't an active part of these budget discussions. Because there is an overriding theme of Scott Walker's budget when it comes to the UW System - that the college system isn't supposed to serve the common good, outside of the campus's boundaries. I'll give you three examples (and there are many more).
Delete current law establishing, requiring the Board to establish, or requiring the Board to maintain the following institutes and centers: (a) the institute for excellence in urban education at UW-Milwaukee, which engages in research, public service, and educational activities pertaining to issues in urban public education; (b) the solid and hazardous waste education center in the UW-Extension, which promotes pollution prevention through an education and technical assistance program; (c) the area health education center at UW-Madison to support community-based primary care training programs; (d) the center for environmental education within the College of Natural Resources at UW-Stevens Point, which assists in the development, dissemination, implementation, and evaluation of environmental education programs for elementary and secondary school teachers and pupils; and (e) the center for urban land economics research in the UW-Madison School of Business, which conducts research and undertakes educational, public outreach, and grant activities related to real estate and urban land economics. In addition, delete the requirement that the Department of Safety and Professional Services pay $10 of each real estate broker license renewal fee to the UW System to support the center for urban land economics and research....
Delete the requirement that the Board offer, establish, or maintain the following UW-Extension programs: (a) a local planning program to educate local policymakers; (b) a program of education and technical assistance related to recycling market development; (c) programs to educate consumers about biotechnology processes and products and risk assessment techniques; and (d) a higher education location program (UW HELP) to provide information on undergraduate admission requirements, degree programs, enrollment, student financial aid, student housing, and admission forms....
Delete current law requiring the Board to establish or maintain all of the following related to its research and public service missions: (a) agricultural demonstration stations; (b) a state soils and plant analysis laboratory in connection with the UW-Madison College of Agricultural and Life Sciences and UW-Extension; (c) a pharmaceutical experiment station in the UW-Madison School of Pharmacy; and (d) an herbarium at UW-Madison.
┌──
A relaxed NpSeO crystal. Source: the Materials Project, functional PBE.

Lattice parameters (Å, degrees): 3.881 3.881 6.983 90.00 90.00 90.00
Element x y z (fractional)
Np: 0.000 0.500 0.819
Np: 0.500 0.000 0.181
Se: 0.000 0.500 0.370
Se: 0.500 0.000 0.630
O: 0.000 0.000 0.000
O: 0.500 0.500 0.000

## Properties
Energy of formation from the pure elements   -2410 meV/atom
└──
Delete provisions requiring the Board to authorize research, experiments, or studies related to the following: (a) experimental work in agriculture; (b) bovine brucellosis; (c) Dutch Elm disease; (d) the feasibility of reintroducing elk into the northern part of the state; and (e) the Fond du Lac Avenue corridor in Milwaukee.
James Rowen also has more on the removal of this outreach mission, including the removal of protections of the Donner Woods sanctuary in Milwaukee. And while I understand that the Board of Regents of the proposed System Authority could keep all or most of these outreach missions around, the removal of these required programs and reserach and the lack of legislative oversight sets a dangerous precedent. What's stopped a Walker-stacked Board of Regents from getting rid of some of these duties, and instead pawning it off to well-connected private interests?
And it goes to a deeper point, that started when we found out that the Walker Administration removed the Wisconsin Idea from the UW's mission statement in the original state budget (a deletion that has not been formally amended as of this writing, by the way). Note what Walker said to reporters the day the story broke, before he and his team had to walk back such an absurd and petty action.
Walker adds to the opening line, on the mission of the UW System, “to meet the state’s workforce needs.”
“The focus would be honed in, in particular to look at making sure that we prepare individuals in this state . . . for the jobs and opportunities that are available in the state,” Walker said during a stop in DePere on Wednesday.
Now do you see how this ties together? They want the UW System to be a glorified technical school that produces workers for corporations, and not as a source of public good that provides research that improves people's lives. Because if the UW System were to serve the public and have certain lands set aside, it would get in the way of maximizing the profitability of such a service, and having them reach conclusions that warn against the damage that might result from maximizing profits or bespoiling the land. And that is a threat in Walker World, which wants to funnel as much money and power as possible to the rich and well-connected, at the expense of every other person and natural resource of the state.
It sure makes you wonder, if the System Authority is set up without all of these requirements of public service to the state, how long before we have the Koch School of Land Management Brawndo School of Medicine?